Work order:
Count the lines below that contain the word "same" and give the number alone.

File:
-- begin --
1.
Entry from the Open Molecules 2025 dataset: C3H6O2S2 in the gas phase at a distorted geometry (the ωB97M-V functional and the def2-TZVPD basis).

The geometry in ORCA input format:
```
! wB97M-V def2-TZVPD RIJCOSX def2/J DEFGRID3
* xyz 0 1
S -2.802 -0.559 0.305
S -1.578 1.031 -0.187
O 2.557 -1.162 -0.948
O 3.433 0.267 0.805
C 1.109 0.358 0.275
C 2.530 -0.171 -0.174
C -0.191 -0.093 -0.360
H 1.057 1.474 0.265
H -3.530 -0.523 -0.816
H 0.769 -0.052 1.269
H 3.793 -0.512 1.326
H -0.270 -0.375 -1.404
H -0.344 -0.974 0.177
*
```

LUMO energy in eV: 0.13
SMILES: O=C(O)CCSS
Total energy in hartree: -1064.7054
Energy relative to the best compared isomer or geometry (same formula, charge and spin) in kJ/mol: 210.66

natural (NBO) atomic charge list, values in e, 5 entries:
1. S -0.1339
2. S 0.1060
3. O -0.5418
4. O -0.7192
5. C -0.5299

---

2.
Entry from the Open Molecules 2025 dataset: C3H6O3 in the gas phase at a distorted geometry (the ωB97M-V functional and the def2-TZVPD basis).

The geometry in ORCA input format:
```
! wB97M-V def2-TZVPD RIJCOSX def2/J DEFGRID3
* xyz 0 1
O -1.351 0.541 -0.856
O 0.092 -1.433 -0.612
O 0.185 0.815 -0.337
C 0.710 -0.403 -0.350
C 2.185 -0.406 -0.007
C -2.175 0.529 0.279
H 2.754 -0.214 -0.919
H -3.202 0.651 -0.095
H 2.402 0.364 0.735
H 2.461 -1.382 0.396
H -1.949 1.363 0.952
H -2.112 -0.424 0.813
*
```

LUMO energy in eV: -0.34
SMILES: COOC(C)=O
Total energy in hartree: -343.5139
Energy relative to the best compared isomer or geometry (same formula, charge and spin) in kJ/mol: 369.38

natural (NBO) atomic charge list, values in e, 5 entries:
1. O -0.2152
2. O -0.5837
3. O -0.2822
4. C 0.7602
5. C -0.7135

---

3.
Entry from the Open Molecules 2025 dataset: C3H6O3 in the gas phase (the ωB97M-V functional and the def2-TZVPD basis).

The geometry in ORCA input format:
```
! wB97M-V def2-TZVPD RIJCOSX def2/J DEFGRID3
* xyz 0 1
O -1.476 0.132 0.579
O 0.627 0.916 0.278
O -0.580 -2.413 0.276
C 0.362 -1.411 0.523
C 0.254 1.805 -0.777
C -0.285 -0.046 0.508
H 1.103 -1.394 -0.283
H 0.908 -1.553 1.467
H 1.183 2.064 -1.289
H -0.253 2.695 -0.401
H -0.412 1.274 -1.465
H -1.431 -2.069 0.584
*
```

LUMO energy in eV: 0.80
SMILES: COC(=O)CO
Total energy in hartree: -343.6137
Energy relative to the best compared isomer or geometry (same formula, charge and spin) in kJ/mol: 107.14

natural (NBO) atomic charge list, values in e, 5 entries:
1. O -0.5819
2. O -0.5258
3. O -0.7027
4. C -0.1719
5. C -0.2575


one.
{"formula": "C3H6ClNS", "method": "ωB97M-V/def2-TZVPD", "elements": ["C", "C", "C", "N", "S", "Cl", "H", "H", "H", "H", "H", "H"], "positions_angstrom": [[0.116, 0.274, 0.756], [2.355, 0.585, 1.309], [-2.817, -0.588, -1.475], [1.362, 0.345, 0.326], [-1.473, 0.092, 0.415], [-3.681, -2.099, -1.025], [1.939, 0.451, 2.290], [3.125, -0.121, 1.038], [2.764, 1.551, 1.048], [-1.889, -0.733, -2.144], [-3.493, 0.163, -1.893], [1.693, 0.080, -0.645]], "e_lumo_ev": [-0.19, -0.02]}

two.
{"formula": "C3H6ClNS", "method": "ωB97M-V/def2-TZVPD", "elements": ["C", "N", "S", "C", "C", "Cl", "H", "H", "H", "H", "H", "H"], "positions_angstrom": [[2.721, 0.280, -1.295], [1.944, 0.771, -0.456], [1.079, -0.455, 0.659], [-0.413, 0.200, 1.365], [-1.703, -0.318, 0.851], [-2.085, 0.022, -0.906], [3.368, 0.964, -2.025], [2.992, -0.763, -1.443], [-0.462, 1.255, 1.357], [-0.552, 0.056, 2.412], [-1.926, -1.369, 0.824], [-2.474, 0.393, 1.402]], "e_lumo_ev": 0.77, "smiles": "C=NSCCCl"}

Stability summary - winner: two; margin: 1.800 eV.

one.
{"formula": "C2H6NP2", "method": "ωB97M-V/def2-TZVPD", "elements": ["C", "P", "N", "P", "C", "H", "H", "H", "H", "H", "H"], "positions_angstrom": [[-0.059, -2.026, 1.418], [-0.651, -0.449, 2.141], [-0.403, 0.472, 0.902], [-0.813, 1.726, -0.071], [0.873, 2.364, -0.327], [-0.883, -2.676, 1.613], [0.273, -1.789, 0.353], [0.898, -2.409, 1.804], [1.616, 1.621, -0.203], [0.994, 2.935, -1.201], [1.053, 3.254, 0.462]], "e_lumo_ev": -6.26, "smiles": "CP=[N+]=PC", "total_charge": 1}

two.
-- stop --

Here it is:
3